Justice as Fairness

In this article Li Jin and Katie Parrott, questionning around the fairness of Web3. They base their analysis on the framework provide by John Rawls - A Theory of Justice.

How can we better design platforms and governance systems to promote fairness and avoid walking on the same path as Web2? What kind of internet should we be creating?

Web2 and Web3 have similar promises:

  • Empowering individual creators and removing intermediaries
  • Wrest back prower from a small number of extractive, centralized institutions
  • Everyone with an internet connection can participate

But Web2 fails on these points, and Web3 will follow a similar path if you don’t start to think about it now.

How do we decide what’s fair?

Distributive Justices, is the thought of how best to allocate resources among participants in a society or system. Several branches of thought exist:

  • Strict egalitarians: equally distributed system resources; everyone is morally equal and thus deserves to have equal access to materials and services
  • Luck egalitarians: equality of starting position; any inequalities that emerge after that point are justified by differences in merit
  • Libertarians argue: individual freedom should be the sole consideration, and any effort to redistribute resources infringes on that freedom
  • Utiliatians argue: oriented to maximize the sum of total happiness and well-being of all participants

But with these branches of thought, Freedom and Equality are often two opposing values:

  • A society in which all actors are completely free is likely to result in a significant amount of inequality. Actors differ in their motivation to pursue their purpose and will behave in ways that advance their own interests
  • A society in which actors are equal inhibits freedom since actors cannot behave in any way that causes them to be unequal to others, even if this unequality is earned through hard work or skill.

So Rawl’s shape is the theory of ‘Justice as Fairness’.

What is Justice as Fairness

Rawl’s theory is unique in how it resolves the central tension between the competing demands of freedom and equality. By requiring that inequalities benefit the least advantaged.

  1. Justice requires equal rights and liberties for every person, and that’s compatible with others also having those liberties
  2. Any social or economic inequalities that do exist in society should meet two conditions:
  • “attached to offices and positions open to all under conditions of fair equality and opportunity." A job should be open to everyone and allocated based on merit.
    The prospects for success should reflect their level of talent and willingness to use it, not their social class or background
  • any existing inequality should maximize the benefit of the last well off

The outcomes are:

  • That leaves space for builders to be rewarded for their contributions, which is necessary to incentivize smart and ambitious people to build in the ecosystem
  • It places a burden on those builders and the ecosystem as a whole to build in a way that creates opportunity for less-advantaged participants

For Web3 we currently fail to reach Rawls standard of justice in two points:

  • Web3 projects commonly issue crypto tokens as digital representations of value
  • Speculators are rewarded instead of those who are adding value to the network through actual usage

How to ensure justice as Fairness in Web3

Some general anti-principles start to come into focus:

  • Don’t build a system that only benefits the wealthy, because what if you’re poor?
  • Don’t build a system that disproportionately favors early adopters, because what if you’re not embedded in networks that give you early access to knowledge?
  • Don’t build a system that demands extreme technological savvy to succeed, because what if you don’t have the aptitude or resources to learn those skills?

Promote self-determination and agency

Unlike web2 with a holding power schema, web3 communities will be controlled by their members.

But today, early governance structures have largely instituted token-weighted voting, with the result being plutocracies. People holding power look out for their own interests.

To be aligned

  • We need to push for democratic systems of governance that give a voice to all their members, not just a select few
  • Everyone should be equally enfranchised in the systems in which they participate

Reward participation, not just capital

Value should be able to be earned, not just purchased:

  • Everyone is on an equal footing and can attain positions of power or compensation through their own merit and contributions
  • Making it possible to earn ownership through ongoing participation in networks, not just capital investment.

Incorporate initiatives that benefit the disadvantaged

With fair equality of opportunity as a prerequisite, inequality remains an inevitable outcome of people’s natural abilities and level of desire and effort to earn money.

But when inequalities do arise, do those arrangements benefit those less privileged in society?

For that, Web3 system should be incentivized to adhere to the difference principle and maximize benefit for the least well-off, since that approach maximizes attractiveness to new participants, propelling further network effects.

Institutionalization = Network Success

In this article, Mario Laul, question the fact of ‘why a particular product attains and maintains market dominance, even when technically superior alternatives are readily available?’

Many reasons exist, related to technical factors or good timing, vendor lock-in and, compatibility with existing standards.

For public blockchain networks, one important non-technological success factor is the network’s degree of institutionalization - the degree to which a particular network becomes embedded in the mental models and social practices of these stakeholders.


  • Being the first to introduce a specific use case with a particular network, and that it would be difficult for others to compete if the association between this use case and the network became synonymous (Bitcoin as digital gold)
  • Internalized shared ideology is one of the core values of the network. This ideology, infused with collective myths, helps to maintain a sense of common purpose and sustain the network
  • The more internalized the network narrative mythology, the higher its degree of institutionalization. Thus making it more resilient against both competing networks and internal rises
  • Create an ecosystem of mutually reinforcing economic
    • professionalization among network operators and providers of infrastructure services

=> this creates an ecosystem of mutually reinforcing economic interests

  • Network effects around open-source, to attract builders and enhance the developer experience
  • Consumer habits and brand recognition via the UI, to develop trust and behavioral patterns in users
    • that also contribute to the ecosystem and network effects
  • The establishment of technical standards has high coordination costs
    • standars or often achieving by dominant market position
  • Adoption and legitimization by external institutions is a green spiral that attracts more and more newcomers with the trust of previous participants.

Conclusion: mental models and social practices are often more important for network success than technical characteristics.

I think it’s a really interesting notion to keep in mind as a founder. That can help to see where the companie is and which value they want to convey inside and outside the system.

The text is interrupted by materials data
- - -
DFT (GGA-PBE) results for ReAu2Se after structural relaxation.

Properties
For the total magnetization, the calculation gives 0.0 μB/f.u. The uncorrected energy is -0.191 hartree per atom.

```
ReAu2Se
1.0
-2.433 -1.073 -1.087
2.408 -0.379 -1.520
1.721 -8.908 4.946
Se Re Au
1 1 2
Direct
0.500 0.500 0.697
0.000 0.000 0.506
0.000 0.000 0.026
0.500 0.500 0.271
```

=====

DFT (PBE) results for an optimized crystal structure of LiLa2Mn.

Cell and atoms, written as extended XYZ:
```
8
Lattice="8.244 0.000 0.000 0.000 8.244 0.000 4.122 4.122 3.210" Properties=species:S:1:pos:R:3 pbc="T T T"
Mn 0.000 0.000 0.000
Mn 8.244 4.122 1.605
Li 4.122 4.122 0.000
Li 4.122 8.244 1.605
La 6.407 2.061 0.802
La 1.837 6.183 0.802
La 6.183 5.959 2.407
La 10.305 10.529 2.407
```

symmetry = No. 122
uncorrected energy = -4.7818 eV per atom
M_tot = 2.77 μB/f.u.

=====

No. 1
Here is Tl3GaBr6 after structural relaxation from Alexandria via LeMat-Bulk. Energies are from PBE.

Geometry as CIF:
```
data_Tl3GaBr6
_cell_length_a 12.669
_cell_length_b 16.482
_cell_length_c 8.058
_cell_angle_alpha 90.00
_cell_angle_beta 90.00
_cell_angle_gamma 90.00
_space_group_name_H-M_alt 'C m c 21'
_space_group_IT_number 36
loop_
_space_group_symop_operation_xyz
'x,y,z'
'-x,-y,z+1/2'
'-x,y,z'
'x,-y,z+1/2'
'x+1/2,y+1/2,z'
'-x+1/2,-y+1/2,z+1/2'
'-x+1/2,y+1/2,z'
'x+1/2,-y+1/2,z+1/2'
loop_
_atom_site_label
_atom_site_type_symbol
_atom_site_fract_x
_atom_site_fract_y
_atom_site_fract_z
Tl1 Tl 0.000 0.092 0.000
Tl2 Tl 0.198 0.408 0.964
Ga1 Ga 0.000 0.308 0.395
Br1 Br 0.000 0.295 0.686
Br2 Br 0.000 0.448 0.314
Br3 Br 0.152 0.249 0.277
Br4 Br 0.160 0.012 0.728
```

## Properties
ΔE_f (raw) = -0.865 eV/atom

=====

No. 2
Here is TbTmMgBe after structural relaxation from Alexandria via LeMat-Bulk. Energies are from PBE.

Geometry as CIF:
```
data_TbTmMgBe
_cell_length_a 7.164
_cell_length_b 7.164
_cell_length_c 7.164
_cell_angle_alpha 90.00
_cell_angle_beta 90.00
_cell_angle_gamma 90.00
_space_group_name_H-M_alt 'F -4 3 m'
_space_group_IT_number 216
_space_group_name_Hall 'F -4 2 3'
loop_
_atom_site_label
_atom_site_type_symbol
_atom_site_fract_x
_atom_site_fract_y
_atom_site_fract_z
Tb1 Tb 0.000 0.000 0.000
Tm1 Tm 0.000 0.000 0.500
Mg1 Mg 0.250 0.250 0.750
Be1 Be 0.250 0.250 0.250
```

## Properties
energy of formation = 0.091 eV/atom

=====

No. 3
Here is Ce2Pu2H7 after structural relaxation from Alexandria via LeMat-Bulk. Energies are from PBE.

Geometry as CIF:
```
data_Ce2Pu2H7
_cell_length_a 7.682
_cell_length_b 8.342
_cell_length_c 4.620
_cell_angle_alpha 90.00
_cell_angle_beta 90.00
_cell_angle_gamma 90.00
_space_group_name_H-M_alt 'C m m m'
_space_group_IT_number 65
_space_group_name_Hall '-C 2 2'
loop_
_atom_site_label
_atom_site_type_symbol
_atom_site_fract_x
_atom_site_fract_y
_atom_site_fract_z
Ce1 Ce 0.000 0.232 0.000
Pu1 Pu 0.235 0.500 0.500
H1 H 0.000 0.000 0.265
H2 H 0.000 0.500 0.000
H3 H 0.250 0.250 0.268
```

## Properties
total energy = -135.09 eV per cell

=====

No. 4
- - -

We also can link that with Simon Sinek and the why and what is the purpose of x system or organisation.